[Data]
+++
C3H12NO2 | the ωB97M-V functional and the def2-TZVPD basis

Each atom is followed by the atoms it is bonded to, with distances in Å.
Geometry (Å):
1 C 0.483 -2.700 0.636  C2 1.483, H5 1.088, H6 1.098, H7 1.087
2 C -0.251 -1.412 0.586  C1 1.483, C3 1.334, H8 1.087
3 C -0.507 -0.724 -0.528  C2 1.334, N4 1.498, H9 1.073
4 N -1.061 0.640 -0.248  C3 1.498, H10 1.029, H11 1.018, H12 1.024
5 H 0.039 -3.457 -0.008  C1 1.088
6 H 1.507 -2.505 0.292  C1 1.098
7 H 0.696 -3.064 1.638  C1 1.087
8 H -0.405 -0.894 1.530  C2 1.087
9 H -0.803 -1.058 -1.504  C3 1.073
10 H -0.644 1.445 -0.735  N4 1.029
11 H -2.073 0.745 -0.281  N4 1.018
12 H -0.835 0.806 0.737  N4 1.024
13 H 1.156 2.086 2.725  O15 0.957
14 H 1.088 1.929 1.189  O15 0.967
15 O 1.121 1.438 2.022  H13 0.957, H14 0.967
16 H -0.391 2.762 -2.931  O18 0.967
17 H 0.910 1.998 -2.599  O18 0.943
18 O -0.030 1.963 -2.523  H16 0.967, H17 0.943

Values from the calculation:
ΔE to the lowest compared entry with this formula, charge and spin = 134.3 kJ/mol
Total charge = +1
Gap between HOMO and LUMO = 11.050 eV
HOMO level = -14.348 eV

How positive or negative is each atom? The Mulliken charges in e answer that:
1. C -1.207
2. C -0.003
3. C -0.154
4. N -0.261
5. H 0.339
6. H 0.309
7. H 0.346
8. H 0.214
9. H 0.430
10. H 0.319
11. H 0.351
12. H 0.319
13. H 0.336
14. H 0.302
15. O -0.627
16. H 0.318
17. H 0.324
18. O -0.656

* * * * *

C29H39N6O5STi | ωB97M-V/def2-TZVPD

```
! wB97M-V def2-TZVPD RIJCOSX def2/J DEFGRID3
* xyz -1 1
Ti 0.50 -0.40 0.46
O -0.65 -2.21 -3.03
C -0.86 -1.15 -2.12
O -0.27 -1.44 -0.90
C -0.20 0.08 -2.79
O 0.34 1.01 -1.86
C 1.66 1.36 -2.19
C 2.64 0.27 -1.75
O 3.70 0.12 -2.33
O 2.23 -0.38 -0.72
H -0.83 -3.01 -2.53
H 0.58 -0.29 -3.45
H -0.95 0.61 -3.39
H 1.77 1.59 -3.25
H 1.90 2.28 -1.63
N -3.27 -0.90 2.64
C -2.50 -0.72 3.77
C -2.80 -0.84 5.12
C -1.76 -0.63 6.01
C -0.48 -0.32 5.56
C -0.19 -0.20 4.21
C -1.22 -0.39 3.29
N -1.24 -0.36 1.89
C -2.47 -0.69 1.56
C -2.91 -0.95 0.20
C -3.43 -2.19 -0.07
S -3.38 -2.43 -1.82
C -2.37 -0.88 -1.95
N -2.56 -0.09 -0.77
H -4.24 -1.16 2.57
H -3.79 -1.11 5.46
H -1.94 -0.72 7.08
H 0.32 -0.19 6.28
H 0.81 -0.02 3.86
H -3.56 -2.99 0.63
H -2.72 -0.38 -2.86
N -1.79 2.87 -0.60
C -2.19 3.02 0.79
C -1.04 3.60 1.62
C 0.03 2.61 2.04
N 0.64 1.81 0.94
H -2.30 3.51 -1.20
H -2.00 1.91 -0.89
H -2.47 2.04 1.18
H -3.07 3.66 0.91
H -1.42 4.03 2.55
H -0.60 4.42 1.06
H -0.37 1.91 2.78
H 0.83 3.16 2.54
H 1.61 1.66 1.19
H 0.57 2.29 0.05
C 0.21 -3.71 3.33
C 1.32 -3.89 2.30
C 0.77 -3.78 0.89
C 2.51 -2.99 2.60
C 3.58 -3.65 3.21
C 4.72 -3.00 3.61
C 4.80 -1.64 3.41
C 3.78 -0.91 2.82
C 4.06 0.58 2.70
C 3.09 1.47 3.46
+++

[Assignment]
What is needed: quote the rows above without additions.

[Completed]
C3H12NO2 | the ωB97M-V functional and the def2-TZVPD basis

Each atom is followed by the atoms it is bonded to, with distances in Å.
Geometry (Å):
1 C 0.483 -2.700 0.636  C2 1.483, H5 1.088, H6 1.098, H7 1.087
2 C -0.251 -1.412 0.586  C1 1.483, C3 1.334, H8 1.087
3 C -0.507 -0.724 -0.528  C2 1.334, N4 1.498, H9 1.073
4 N -1.061 0.640 -0.248  C3 1.498, H10 1.029, H11 1.018, H12 1.024
5 H 0.039 -3.457 -0.008  C1 1.088
6 H 1.507 -2.505 0.292  C1 1.098
7 H 0.696 -3.064 1.638  C1 1.087
8 H -0.405 -0.894 1.530  C2 1.087
9 H -0.803 -1.058 -1.504  C3 1.073
10 H -0.644 1.445 -0.735  N4 1.029
11 H -2.073 0.745 -0.281  N4 1.018
12 H -0.835 0.806 0.737  N4 1.024
13 H 1.156 2.086 2.725  O15 0.957
14 H 1.088 1.929 1.189  O15 0.967
15 O 1.121 1.438 2.022  H13 0.957, H14 0.967
16 H -0.391 2.762 -2.931  O18 0.967
17 H 0.910 1.998 -2.599  O18 0.943
18 O -0.030 1.963 -2.523  H16 0.967, H17 0.943

Values from the calculation:
ΔE to the lowest compared entry with this formula, charge and spin = 134.3 kJ/mol
Total charge = +1
Gap between HOMO and LUMO = 11.050 eV
HOMO level = -14.348 eV

How positive or negative is each atom? The Mulliken charges in e answer that:
1. C -1.207
2. C -0.003
3. C -0.154
4. N -0.261
5. H 0.339
6. H 0.309
7. H 0.346
8. H 0.214
9. H 0.430
10. H 0.319
11. H 0.351
12. H 0.319
13. H 0.336
14. H 0.302
15. O -0.627
16. H 0.318
17. H 0.324
18. O -0.656

* * * * *

C29H39N6O5STi | ωB97M-V/def2-TZVPD

```
! wB97M-V def2-TZVPD RIJCOSX def2/J DEFGRID3
* xyz -1 1
Ti 0.50 -0.40 0.46
O -0.65 -2.21 -3.03
C -0.86 -1.15 -2.12
O -0.27 -1.44 -0.90
C -0.20 0.08 -2.79
O 0.34 1.01 -1.86
C 1.66 1.36 -2.19
C 2.64 0.27 -1.75
O 3.70 0.12 -2.33
O 2.23 -0.38 -0.72
H -0.83 -3.01 -2.53
H 0.58 -0.29 -3.45
H -0.95 0.61 -3.39
H 1.77 1.59 -3.25
H 1.90 2.28 -1.63
N -3.27 -0.90 2.64
C -2.50 -0.72 3.77
C -2.80 -0.84 5.12
C -1.76 -0.63 6.01
C -0.48 -0.32 5.56
C -0.19 -0.20 4.21
C -1.22 -0.39 3.29
N -1.24 -0.36 1.89
C -2.47 -0.69 1.56
C -2.91 -0.95 0.20
C -3.43 -2.19 -0.07
S -3.38 -2.43 -1.82
C -2.37 -0.88 -1.95
N -2.56 -0.09 -0.77
H -4.24 -1.16 2.57
H -3.79 -1.11 5.46
H -1.94 -0.72 7.08
H 0.32 -0.19 6.28
H 0.81 -0.02 3.86
H -3.56 -2.99 0.63
H -2.72 -0.38 -2.86
N -1.79 2.87 -0.60
C -2.19 3.02 0.79
C -1.04 3.60 1.62
C 0.03 2.61 2.04
N 0.64 1.81 0.94
H -2.30 3.51 -1.20
H -2.00 1.91 -0.89
H -2.47 2.04 1.18
H -3.07 3.66 0.91
H -1.42 4.03 2.55
H -0.60 4.42 1.06
H -0.37 1.91 2.78
H 0.83 3.16 2.54
H 1.61 1.66 1.19
H 0.57 2.29 0.05
C 0.21 -3.71 3.33
C 1.32 -3.89 2.30
C 0.77 -3.78 0.89
C 2.51 -2.99 2.60
C 3.58 -3.65 3.21
C 4.72 -3.00 3.61
C 4.80 -1.64 3.41
C 3.78 -0.91 2.82
C 4.06 0.58 2.70
C 3.09 1.47 3.46